Chapter 3
Bringing your office online: how to use Trello Workspaces
Workspaces are your teams’ navigation hub—a place where you can easily find, share, and collaborate on any board. Think of it like a digital office: everything and everyone in the right place.
Section Overview
In this section you will learn:
Intro to Workspaces
Workspaces are your teams’ navigation hub—a place where you can easily find, share, and collaborate on any board.
Your organization may have a Workspace for the Product team where product-related boards are kept, and another Workspace for the Marketing team where marketing-related boards are kept.
Over time, a department may realize they need additional workspaces to break off for specialized collaboration. Enterprise membership is not limited to one workspace, so feel free to create spaces that reflect your company's style and support preference and productivity.

Misplaced data records >
DFT (PBE) results for crystalline In3NiSe4 at its relaxed geometry.

Calculated values
E in eV per cell: -30.65
Formation energy from raw total energies in meV per atom: -340
N(E_F) in states/eV/cell: 3.639

Cell lengths 6.1422, 6.1422, 7.4806 Å; angles 114.24, 114.24, 90.00 degrees
With the nearest neighbours (Å) after each atom.
Positions (direct):
In 0.5000 0.5000 0.0000  4 Se 2.80
In 0.7500 0.2500 0.5000  4 Se 2.75
In 0.2500 0.7500 0.5000  4 Se 2.75
Ni 0.0000 0.0000 0.0000  4 Se 2.35

When you join Trello, you’re automatically added to a Workspace. It’s the same with boards: All boards must belong to a workspace.
Update your Workspace details by selecting Edit Workspace details at the top of your Workspace.

From here, you can
- upload or change your Workspace logo by selecting the current logo;
- select your Workspace type from the drop-down;
- choose a short name for your Workspace, or the name that appears in the Workspace URL;
- include an external website URL; and
- include a description of your Workspace.
You can also add specific boards to a collection from your Workspace—a simple but effective way to group and filter which boards appear in your Workspace view.
Get cross-board perspective with Workspace table
From the Workspace Table tab, Workspace Admins gain quick visibility into cards across boards within the Workspace.
Select a board from the Add Boards drop-down to populate the table with cards. Use the Quick Filters drop-down to the right of the board field to filter cards, or select the header of each column to refine results. Filter by:
- All cards
- Cards assigned to you
- Due dates
- Assigned members
- List
- Label(s)
Share a specific filtered view with a coworker (or bookmark it for later use) by selecting the Bookmark button. Copy the link provided and share.
Only team members with permissions to view the boards you’ve selected in this view will see the details of the filtered view.
Onboard your teammates
Reduce the risk of miscommunication (or work FOMO) by inviting all relevant team members to a Workspace. Workspace members must be licensed Enterprise members to join a Workspace that is part of the Enterprise.

From the Members tab, you can
- filter for a specific Workspace member or guest;
- view assigned boards for a specific member;
- change member permissions (if your permissions allow); and and remove or deactivate a member (if your permissions allow).
Inviting an unlicensed team member to join your Workspace will convert this member to a licensed Workspace member and use an available license seat. Learn more about licensed members in Chapter 9.
View enabled Power-Ups
Workspace Admins can quickly view all Power-Ups, also known as integrations, enabled within their Workspace from the Power-Ups tab.

Select the details to the far right of each Power-Up to see a list of boards where the Power-Up is currently enabled. Navigate directly to a specific board by selecting it from the list.
Export Workspace data
Workspace Admins can export boards within the Workspace in both CSV and JSON format from the Export tab. Select the Include raw attachments to include card attachments as a .zip file.

Manage Workspace settings
Your Workspaces’ Settings tab contains permissions that impact every board and member in the Workspace. The permissions that users see are likely set by the Enterprise Admin. As such, some settings may be able to be changed by users while others will not.

- Workspace Visibility: Dictates who can see the Workspace. Only Workspace members can access and edit boards within the Workspace. Workspace Membership Restrictions: Enforce specific email domain requirements for team members.
- Board Creation Restrictions: Specify which members can create boards within the Workspace.
- Board Deletion Restrictions: Specify which members can delete boards within the Workspace. (Note: deleted boards cannot be recovered!)
- Board Invitation Restrictions: Select which type of member (Workspace or Enterprise member) can be added to a board.
Enterprise Admins set permission restrictions at the Enterprise level and can choose to grant Board Admins the ability to define these permissions. You can learn more about Enterprise Admins and Enterprise-wide permissions by jumping to Chapter 10.
Now that you’ve conquered Workspaces, it’s time to talk Power-Ups (aka integrations)